Handover of the Solid Waste Management Master Plan in the Western Province of Sri Lanka based on the provision of the Japan International Cooperation Agency (JICA).
Data records from another source follow:
- - -
Density functional theory data (PBE) for a geometry-optimized VAs2PbN structure.

Cell: 4.626 4.626 5.447 Å, 90.00 90.00 90.00°
Space group P4/mmm (No. 123)
Unique sites:
V 0.000 0.000 0.000 (multiplicity 1)
As 0.000 0.500 0.000 (multiplicity 2)
Pb 0.000 0.000 0.500 (multiplicity 1)
N 0.500 0.500 0.500 (multiplicity 1)

Summary:
D(E_F) ... 3.086 states/eV per cell
E_tot ... -25.308 eV per cell
Crystal system ... tetragonal
ρ ... 6.0 g/cm³
Energy relative to the elements, uncorrected ... 1029 meV/atom

---

Density functional theory data (PBE) for a geometry-optimized SrNdSn structure.

Cell: 7.721 7.721 7.721 Å, 90.00 90.00 90.00°
Space group F-43m (No. 216)
Unique sites:
Sr 0.000 0.000 0.000 (multiplicity 4)
Nd 0.000 0.000 0.500 (multiplicity 4)
Sn 0.250 0.250 0.750 (multiplicity 4)

Summary:
Formation energy from the elements ... -0.424 eV/atom
D(E_F) ... 10.873 states/eV per cell
E_tot ... -46.900 eV per cell
Crystal system ... cubic
ρ ... 5.1 g/cm³

----------

Entry 1:
# BaLi2SmSb2

A geometry-optimized BaLi2SmSb2 structure (PBE, Alexandria via LeMat-Bulk).

Cell lengths 4.832, 4.832, 8.243 Å; angles 90.00, 90.00, 120.00 degrees
Positions (direct):
Ba 0.000 0.000 0.000
Li 0.333 0.667 0.691
Li 0.667 0.333 0.309
Sm 0.000 0.000 0.500
Sb 0.333 0.667 0.283
Sb 0.667 0.333 0.717

Summary:
* calculated volume: 27.8 A^3/atom
* space-group type: No. 164
* raw formation energy: -0.884 eV per atom

Entry 2:
# Ba2Li4SnSb3

A geometry-optimized Ba2Li4SnSb3 structure (PBE, Alexandria via LeMat-Bulk).

Cell lengths 4.719, 4.719, 12.063 Å; angles 90.00, 90.00, 90.00 degrees
Positions (direct):
Ba 0.000 0.500 0.237
Ba 0.500 0.000 0.763
Li 0.000 0.000 0.000
Li 0.000 0.500 0.642
Li 0.500 0.000 0.358
Li 0.500 0.500 0.000
Sn 0.000 0.000 0.500
Sb 0.000 0.500 0.868
Sb 0.500 0.000 0.132
Sb 0.500 0.500 0.500

Summary:
* calculated volume: 26.9 A^3/atom
* space-group type: No. 115
* raw formation energy: -0.746 eV per atom

----------

VASP calculation (PBE-GGA) on a relaxed structure of LiNpCdSn.

Energy of formation from the pure elements = 0.02 eV/atom
SG = No. 216
Density of states at the Fermi level = 2.170 states/eV per atom

```
LiNpCdSn
1.0
5.139 0.000 0.000
2.569 4.450 0.000
2.569 1.483 4.196
Np Li Sn Cd
1 1 1 1
Direct
0.500 0.500 0.500
0.000 0.000 0.000
0.250 0.250 0.250
0.750 0.750 0.750
```
- - -
Official commissioning of a new generation "Automatic Organic Stove" to the Waste Management Authority
In conjunction with the World Environment Day, Sidalepa Company and the Western Provincial Waste Management Authority jointly organized a tree planting program.
Mihisaru and Mihilak Organic Fertilizer Fertilizer Promotion Program and Drone Technology Training Program conducted by Mihisaru Resource Management Center
New Year's celebration to start duties and increase friendship
Future Harvest 2024 is the largest agricultural, food and technology exhibition of the year
The annual health camp held for the employees of Kalutara, Fertilizer Watta Mihisaru Resource Management Center belonging to the Western Province Waste Management Authority.
Inauguration of the six-month course conducted by the Mihisaru Field Research and Training Center belonging to the Western Provincial Waste Management Authority for supervisors of local government institutions and waste recycling institutions.
Starting the year 2024, the Western Provincial Waste Management Authority started its duties at the Karadiana Mihisaru Resource Management Center at an auspicious time.
Introductory Program in Recycling Industry Assistant NVQ - 4 Course
Installation of awareness boards and tree planting program at Karadiana Resource Management Center premises
The organization of the Western Province Governor's Cup was carried out by the organizational strength of the Western Province Waste Management Authority.
Western Province Governors Cup - 2023
The health camp implemented to promote the health status of the members of Karadiana Mihisaru Sampath Center
Recently, Sri Lanka Customs and the Western Province Waste Management Authority destroyed a stock of creams and perfumes used for cosmetic purposes that were imported without permission.
PHINLA 2nd Global Waste Management Conference - Sri Lanka 2023 Field Visited to Karadiana Mihisaru Field Research and Training Centre
## Between two parts of the text: crystal structures
- - -
(1)
Crystalline DyY2Rh at its relaxed geometry, computed with GGA-PBE.

ΔE_f = -0.517 eV/atom
D(E_F) = 19.7 states/eV/cell
total magnetization = 0.0 μB/cell

The structure in CIF format:
```
data_DyY2Rh
_space_group_name_H-M_alt 'P n m a'
_space_group_IT_number 62
_space_group_name_Hall '-P 2ac 2n'
_cell_length_a 7.179
_cell_length_b 9.488
_cell_length_c 6.361
_cell_angle_alpha 90.00
_cell_angle_beta 90.00
_cell_angle_gamma 90.00
loop_
_atom_site_label
_atom_site_type_symbol
_atom_site_fract_x
_atom_site_fract_y
_atom_site_fract_z
Dy1 Dy 0.036 0.250 0.139
Y1 Y 0.177 0.064 0.673
Rh1 Rh 0.118 0.750 0.452
```

=====

(2)
Crystalline DyY3Rh at its relaxed geometry, computed with GGA-PBE.

ΔE_f = -0.351 eV/atom
D(E_F) = 23.2 states/eV/cell
total magnetization = 2.8 μB/cell

The structure in CIF format:
```
data_DyY3Rh
_space_group_name_H-M_alt 'C 1 2/m 1'
_space_group_IT_number 12
_space_group_name_Hall '-C 2y'
_cell_length_a 11.782
_cell_length_b 8.603
_cell_length_c 8.105
_cell_angle_alpha 90.00
_cell_angle_beta 133.45
_cell_angle_gamma 90.00
loop_
_atom_site_label
_atom_site_type_symbol
_atom_site_fract_x
_atom_site_fract_y
_atom_site_fract_z
Dy1 Dy 0.052 0.000 0.344
Y1 Y 0.051 0.500 0.262
Y2 Y 0.247 0.198 0.207
Rh1 Rh 0.248 0.000 0.872
```

=====

(3)
Crystalline Dy2Y2Rh3 at its relaxed geometry, computed with GGA-PBE.

ΔE_f = -0.766 eV/atom
D(E_F) = 6.9 states/eV/cell
total magnetization = 0.0 μB/cell

The structure in CIF format:
```
data_Dy2Y2Rh3
_space_group_name_H-M_alt 'C 1 2/m 1'
_space_group_IT_number 12
_space_group_name_Hall '-C 2y'
_cell_length_a 8.370
_cell_length_b 4.824
_cell_length_c 8.378
_cell_angle_alpha 90.00
_cell_angle_beta 109.52
_cell_angle_gamma 90.00
loop_
_atom_site_label
_atom_site_type_symbol
_atom_site_fract_x
_atom_site_fract_y
_atom_site_fract_z
Dy1 Dy 0.125 0.000 0.375
Y1 Y 0.124 0.500 0.872
Rh1 Rh 0.000 0.000 0.000
Rh2 Rh 0.250 0.000 0.750
```

=====

(4)
Crystalline DyY3Rh at its relaxed geometry, computed with GGA-PBE.

ΔE_f = -0.211 eV/atom
D(E_F) = 8.0 states/eV/cell
total magnetization = 0.0 μB/cell

The structure in CIF format:
```
data_DyY3Rh
_space_group_name_H-M_alt 'P m -3 m'
_space_group_IT_number 221
_space_group_name_Hall '-P 4 2 3'
_cell_length_a 5.418
_cell_length_b 5.418
_cell_length_c 5.418
_cell_angle_alpha 90.00
_cell_angle_beta 90.00
_cell_angle_gamma 90.00
loop_
_atom_site_label
_atom_site_type_symbol
_atom_site_fract_x
_atom_site_fract_y
_atom_site_fract_z
Dy1 Dy 0.000 0.000 0.000
Y1 Y 0.000 0.500 0.500
Rh1 Rh 0.500 0.500 0.500
```
- - -
Opening of the Kaduwela Plastic Recycling Centre.
**Inserted here: materials data:**
┌──
A plane-wave DFT calculation with PBE-GGA was carried out for crystalline PrTa4Ge2 at its relaxed geometry.

Computed properties:
DFT total energy, eV per atom: -9.09

Cell lengths 3.747, 17.039, 4.364 Å; angles 90.00, 90.00, 90.00 degrees
Space group Cmmm (No. 65)
Symmetry-distinct sites (fractional):
Pr: 0.000 0.000 0.000 [2 per cell]
Ta: 0.000 0.185 0.500 [4 per cell]
Ta: 0.000 0.320 0.000 [4 per cell]
Ge: 0.000 0.425 0.500 [4 per cell]



A plane-wave DFT calculation with PBE-GGA was carried out for crystalline TbPrGe2 at its relaxed geometry.

Computed properties:
DFT total energy, eV per atom: -5.31

Cell lengths 4.3223, 4.3223, 20.1053 Å; angles 90.00, 90.00, 120.00 degrees
Space group R-3m (No. 166, hexagonal axes)
Symmetry-distinct sites (fractional):
Tb: 0.0000 0.0000 0.0000 [3 per cell]
Pr: 0.0000 0.0000 0.5000 [3 per cell]
Ge: 0.0000 0.0000 0.2545 [6 per cell]



A plane-wave DFT calculation with PBE-GGA was carried out for crystalline Tb2PrGe at its relaxed geometry.

Computed properties:
Polymorph energy (0 for the lowest one), meV per atom: 0.0
DFT total energy, eV per atom: -4.99

Cell lengths 4.758, 4.758, 4.722 Å; angles 90.00, 90.00, 90.00 degrees
Space group P4/mmm (No. 123)
Symmetry-distinct sites (fractional):
Tb: 0.000 0.500 0.000 [2 per cell]
Pr: 0.000 0.000 0.500 [1 per cell]
Ge: 0.500 0.500 0.500 [1 per cell]



A plane-wave DFT calculation with PBE-GGA was carried out for crystalline Tb2PrGe at its relaxed geometry.

Computed properties:
Polymorph energy (0 for the lowest one), meV per atom: 72.3
DFT total energy, eV per atom: -4.92

Cell lengths 3.7723, 3.7723, 29.8128 Å; angles 90.00, 90.00, 120.00 degrees
Space group R-3m (No. 166, hexagonal axes)
Symmetry-distinct sites (fractional):
Tb: 0.0000 0.0000 0.2308 [6 per cell]
Pr: 0.0000 0.0000 0.0000 [3 per cell]
Ge: 0.0000 0.0000 0.5000 [3 per cell]



A plane-wave DFT calculation with PBE-GGA was carried out for crystalline Tb2PrGe at its relaxed geometry.

Computed properties:
Polymorph energy (0 for the lowest one), meV per atom: 7.8
DFT total energy, eV per atom: -4.98

Cell lengths 3.864, 3.864, 7.451 Å; angles 90.00, 90.00, 90.00 degrees
Space group P4/mmm (No. 123)
Symmetry-distinct sites (fractional):
Tb: 0.000 0.000 0.197 [2 per cell]
Pr: 0.500 0.500 0.500 [1 per cell]
Ge: 0.500 0.500 0.000 [1 per cell]



A plane-wave DFT calculation with PBE-GGA was carried out for crystalline Tb3Pr3Ge4 at its relaxed geometry.

Computed properties:
DFT total energy, eV per atom: -5.44

Cell lengths 4.399, 10.974, 10.920 Å; angles 90.00, 90.00, 90.00 degrees
Space group Amm2 (No. 38)
Symmetry-distinct sites (fractional):
Tb: 0.000 0.000 0.000 [2 per cell]
Tb: 0.500 0.249 0.424 [4 per cell]
Pr: 0.000 0.000 0.348 [2 per cell]
Pr: 0.000 0.175 0.676 [4 per cell]
Ge: 0.500 0.000 0.555 [2 per cell]
Ge: 0.500 0.000 0.803 [2 per cell]
Ge: 0.500 0.120 0.170 [4 per cell]



A plane-wave DFT calculation with PBE-GGA was carried out for crystalline TbPrGe2 at its relaxed geometry.
└──
**The materials data stop here:**
Certificate Course on "Sustainable Waste Management Practices" conducted by Mihisaru Field Research and Training Center for Health Administrators of Western Local Government Institutions
Haritha Balakaya Program Colombo District
Haritha Balakaya Program Gampaha District
A program for the safe destruction of clinical and sanitary waste collected in homes and institutions is launched - Ja ela
Health camp for Haritha Balakaya Members of W.P
WMA (Karadiyana) - Resource Bank Opening
Hon Governor of W.P Marshal of the Sri Lanka Air Force Roshan Goonetileke and Mr. Meril Perera, Chairman of Waste Management Authority (W.P) Visite - Homagama Mihisaru Resource Management Center
the discarded electronic waste and recyclable solid waste center opened on the last 23at the Rajagiriya.
WMA and JICA Workshop on aware the 20 years Master Plan for Western Province Solid Waste Management - 2023.03.14
Hon Governor of W.P Marshal of the Sri Lanka Air Force Roshan Goonetileke and Mr. Meril Perera, Chairman of Waste Management Authority (W.P) Visited the Karadiyana Mihisaru Viyamana Resource Management Center on 2023.02.09
2023 January Award Ceremony